A Moment Of Fiscal Truth

Assessing the preliminary responses to the Simpson-Bowles breakthrough has been a fascinating insight into where we all actually stand on what the Dish regards as the central domestic policy issue of our time: restraining the debt. Ross notes that the proposal - derided by many on the left - is nonetheless remarkably "progressive" if by "progressive", one means protecting the poor:

Yes, it’s tilted toward spending cuts, and away from tax increases. But look at the way it cuts spending and raises taxes. It means-tests Social Security benefits for high earners and raises the cap on taxable income, while also adding a larger benefit for the poorest seniors. Its hypothetical discretionary spending reductions don’t come from anti-poverty programs, for the most part: They come from cutting the defense budget, cutting the federal workforce, cutting farm subsidies, etc. It raises tax revenue by reducing tax credits and deductions that almost all overwhelmingly benefit the affluent. (This would be especially true in the scenario I’d prefer, in which the child tax credit and the earned-income tax credit stick around.) It would cap revenue at 21 percent of G.D.P., which would be higher than any point in recent American history, and well above the average for the last thirty years. And it does all of this, as Chait himself notes, while assuming that Obamacare the capstone of the liberal welfare state would remain essentially unchanged.

And it raises revenue without raising income tax rates. Chait admirably calls the proposal "supportable" because of the long-term debt crisis. But here's Krugman and Drum and Pelosi harshing on the entire mean-but-lean government philosophy behind the proposal. The NYT is admirably supportive overall.

All of which leads to an obvious and compelling political and policy win-win for the president. He needs to embrace this opportunity to end the long-term debt and pivot to the center and call the right's bluff at the same time. There is nothing that would restore Obama's cred with Independents more than tackling his own party's ideologues on the deficit and the debt. Since Obama pioneered this debt commission and wanted it to have more power than it does, this cannot be spun as opportunism (and it isn't). It can be seen as part of Obama's promise not to duck these core and tough issues, not to punt on the big policy choices for another generation. And it can be presented as part of Obama's profound willingness to work with Republicans as well as Democrats to put this country back on a long-term fiscally sustainable path.

Crystal structures that have nothing to do with the piece
+++
1.
Below is an optimized crystal structure of Rb3NbO8, with properties calculated at the PBE-GGA level.

Computed properties:
- maximum piezoelectric response (C/m²) = 0.582

abc: 6.5577 6.5577 6.5577
angles: 113.34 113.34 101.99
Last column: nearest neighbours and their distance in Å.
Positions (direct):
Rb  0.0000  0.0000  0.0000  8 O 2.97-3.01
Rb  0.2500  0.7500  0.5000  4 O 2.86
Rb  0.7500  0.2500  0.5000  4 O 2.86
Nb  0.5000  0.5000  0.0000  8 O 2.04-2.09
O  0.1823  0.4542  0.0000  1 O 1.50
O  0.2744  0.6841  0.0000  1 O 1.50
O  0.3159  0.3159  0.5903  1 O 1.50
O  0.4542  0.1823  0.0000  1 O 1.50
O  0.5458  0.5458  0.7281  1 O 1.50
O  0.6841  0.2744  0.0000  1 O 1.50
O  0.7256  0.7256  0.4097  1 O 1.50
O  0.8177  0.8177  0.2719  1 O 1.50

***

2.
Below is an optimized crystal structure of RbNbO3, with properties calculated at the PBE-GGA level.

abc: 6.5262 6.5262 8.3320
angles: 93.40 93.40 82.93
Last column: nearest neighbours and their distance in Å.
Positions (direct):
Rb  0.2341  0.7659  0.0000  4 O 2.82-2.91
Rb  0.3375  0.3375  0.2638  4 O 2.70-2.96
Rb  0.6625  0.6625  0.7362  4 O 2.70-2.96
Rb  0.7659  0.2341  0.0000  4 O 2.82-2.91
Nb  0.1894  0.8106  0.5000  6 O 1.95-2.10
Nb  0.2583  0.2583  0.6960  3 O 1.84-2.00
Nb  0.7417  0.7417  0.3040  3 O 1.84-2.00
Nb  0.8106  0.1894  0.5000  6 O 1.95-2.10
O  0.0483  0.7129  0.2888  2 Nb 2.00-2.04
O  0.1227  0.1227  0.4477  2 Nb 2.10
O  0.2266  0.5472  0.6023  2 Nb 1.95-2.07
O  0.2871  0.9517  0.7112  2 Nb 2.00-2.04
O  0.3286  0.3286  0.9075  1 Nb 1.84
O  0.4528  0.7734  0.3977  2 Nb 1.95-2.07
O  0.5472  0.2266  0.6023  2 Nb 1.95-2.07
O  0.6714  0.6714  0.0925  1 Nb 1.84
O  0.7129  0.0483  0.2888  2 Nb 2.00-2.04
O  0.7734  0.4528  0.3977  2 Nb 1.95-2.07
O  0.8773  0.8773  0.5523  2 Nb 2.10
O  0.9517  0.2871  0.7112  2 Nb 2.00-2.04

***

3.
Below is an optimized crystal structure of Rb3Nb20O34, with properties calculated at the PBE-GGA level.

abc: 10.5343 6.0825 13.5655
angles: 90.00 104.92 90.00
Last column: nearest neighbours and their distance in Å.
Positions (direct):
Rb  0.0000  0.0000  0.0000  9 O 2.98-3.28
Rb  0.2283  0.5000  0.1299  9 O 3.04-3.16
Rb  0.5333  0.5000  0.0024  7 O 2.90-3.20
Nb  0.0516  0.0000  0.6484  5 O 2.13-2.27
Nb  0.1114  0.0000  0.2910  6 O 2.00-2.16
Nb  0.1262  0.5000  0.8315  6 O 2.06-2.20
Nb  0.1888  0.5000  0.4719  5 O 2.11-2.28
Nb  0.3110  0.0000  0.8894  4 O 1.88-1.92
Nb  0.3238  0.2715  0.6493  5 O 2.11-2.27
Nb  0.3238  0.7285  0.6493  5 O 2.11-2.27
Nb  0.4179  0.2716  0.4715  5 O 2.10-2.27
Nb  0.4179  0.7284  0.4715  5 O 2.10-2.27
Nb  0.4312  0.0000  0.2316  4 O 1.87-1.91
Nb  0.5527  0.5000  0.6490  5 O 2.11-2.26
Nb  0.6173  0.5000  0.2900  6 O 2.03-2.18
Nb  0.6284  0.0000  0.8328  6 O 2.07-2.15
Nb  0.6903  0.0000  0.4720  5 O 2.12-2.27
Nb  0.8175  0.5000  0.8869  4 O 1.88-1.92
Nb  0.8237  0.2269  0.6479  5 O 2.12-2.26
Nb  0.8237  0.7731  0.6479  5 O 2.12-2.26
Nb  0.9173  0.2278  0.4727  5 O 2.13-2.29
Nb  0.9173  0.7722  0.4727  5 O 2.13-2.29
+++

Such a breakthrough, I believe, would also galvanize a recovery, restoring long-term confidence in the US economy, and prompting businesses to spend, invest and hire again.

This is Obama's moment. He needs to seize it with clarity, focus and drive. If he does, he will regain the coalition he won with - and then some.

2006-2011 archives for The Daily Dish, featuring Andrew Sullivan